“All scripture is inspired by God and is useful for teaching, for refutation, for correction, and for training in righteousness, so that one who belongs to God may be competent, equipped for every good work.”
– Second Epistle to Timothy, chapter 3, verses 16 through 17’
Dear friend,
When was the last time you updated your résumé?
I’m kidding, of course, but not by much. The most important title any of us can have is “Compassionate Missioner,” although I imagine that’s not how you usually talk about yourself! As we begin our third week of the Church’s Extraordinary Month of Mission, I invite you to think about how you can grow as a compassionate missioner, and build up our Church along the way.
Our Holy Father Pope Francis calls this a commitment to missionary formation: the process of preparing ourselves to go out into the world as disciples of the Gospel. Spending a little more time studying scripture and celebrating our sacraments and liturgies are all good ways to do that. Then let’s not forget about those who came before us: the martyrs and saints, and the role models in our own family and parishes who gave us an early appreciation for our faith. Recalling their devotion is a good way to strengthen our mission spirit.
In the end, we are known by our good works… visiting the sick, feeding the hungry, and caring for the most vulnerable. Each time we express our faith this way, we are not just growing stronger as compassionate missioners. We are modeling mission for the rest of the world. May your light shine bright this week… next week… and always.
P.S.: Today is Mission Sunday, a reminder that you are God’s presence in the world. We are all called to salvation in Christ. Go forth and celebrate!
Next week’s mission lesson: Always practice charity.
[Misplaced records of molecules]
┌──
No. 1
ORCA calculation (the ωB97M-V functional and the def2-TZVPD basis) on the molecule C6H10O.

Computed properties:
ΔE to the lowest compared entry with this formula, charge and spin: 15.7 kcal per mole
SMILES: O=CCCC1CC1
molecular weight: 98.1 Da
HOMO: -9.760 eV
LUMO: 1.06 eV
E: -8430.5579 eV

Last column: Mulliken charge in e.
Atoms and positions in Å:
O 2.498 -0.302 2.136  -0.473
C 2.567 -0.642 0.978  -0.020
C 1.532 -0.305 -0.066  -0.519
C 0.285 0.347 0.522  -0.689
C -0.773 0.637 -0.518  -0.054
C -1.689 -0.464 -0.976  -0.574
C -2.221 0.655 -0.124  -0.634
H 3.434 -1.239 0.622  0.345
H 2.017 0.351 -0.806  0.309
H 1.282 -1.224 -0.616  0.315
H 0.570 1.267 1.045  0.302
H -0.129 -0.318 1.290  0.287
H -0.479 1.358 -1.281  0.400
H -1.983 -0.499 -2.022  0.263
H -1.574 -1.441 -0.512  0.245
H -2.877 1.387 -0.586  0.260
H -2.462 0.431 0.913  0.237

---

No. 2
ORCA calculation (the ωB97M-V functional and the def2-TZVPD basis) on the molecule C6H10O in a non-equilibrium geometry.

Computed properties:
ΔE to the lowest compared entry with this formula, charge and spin: 93.9 kcal per mole
molecular weight: 98.1 Da
HOMO: -8.089 eV
LUMO: 0.00 eV
E: -8427.1685 eV

Last column: Mulliken charge in e.
Atoms and positions in Å:
C -0.498 0.685 -0.417  -0.354
C -1.791 0.682 -0.020  0.066
C 0.278 -0.473 -0.890  -0.520
C -2.724 -0.399 -0.255  -0.440
C 1.267 -0.835 0.266  -0.509
C 2.430 0.169 0.325  -0.971
O -3.889 -0.297 0.338  -0.167
H 0.127 1.663 -0.221  0.227
H -2.323 1.672 0.285  0.171
H -0.500 -1.359 -0.881  0.291
H 0.923 -0.433 -1.699  0.458
H 0.619 -0.912 1.095  0.375
H 1.701 -1.926 0.045  0.248
H 2.989 0.244 -0.549  0.336
H 3.239 -0.238 0.945  0.328
H 1.994 1.232 0.723  0.218
H -3.843 0.522 0.911  0.243

---

No. 3
ORCA calculation (the ωB97M-V functional and the def2-TZVPD basis) on a structure of composition C6H10O.

Computed properties:
ΔE to the lowest compared entry with this formula, charge and spin: 127.3 kcal per mole
molecular weight: 98.1 Da
HOMO (alpha / beta): -7.079 / -7.726 eV
LUMO (alpha / beta): 0.14 / 0.16 eV
E: -8425.7221 eV

Last column: Mulliken charge in e.
Atoms and positions in Å:
O -0.082 2.344 0.612  -0.537
C -0.074 0.994 0.435  0.420
C 1.179 0.420 -0.223  -0.748
C 0.769 -0.940 -0.800  -0.501
C -0.703 -0.770 -1.158  -0.958
C -1.434 -0.886 1.191  -0.742
C -0.730 0.208 1.483  -0.280
H 0.638 2.743 0.105  0.363
H -0.918 0.327 -0.511  0.303
H 2.015 0.365 0.484  0.322
H 1.475 1.094 -1.041  0.425
H 0.880 -1.726 -0.049  0.299
H 1.391 -1.205 -1.663  0.385
H -0.838 -0.266 -2.127  0.363
H -1.290 -1.679 -1.176  0.284
H -1.635 -1.654 1.951  0.233
H -0.643 0.632 2.486  0.368

---

No. 4
ORCA calculation (the ωB97M-V functional and the def2-TZVPD basis) on a structure of composition C6H10O in a non-equilibrium geometry.

Computed properties:
ΔE to the lowest compared entry with this formula, charge and spin: 94.4 kcal per mole
molecular weight: 98.1 Da
HOMO: -9.404 eV
LUMO: 0.87 eV
E: -8427.1475 eV

Last column: Mulliken charge in e.
└──
[Here the page continues]
Prayer for 29th Sunday in Ordinary Time
Deeply rooted in Christ Jesus,
help me, God, to draw strength,
nourishment and courage
from the wellspring of Divine Mercy
that the love of the Lord may infuse
every fiber of my being
and fill my soul to overflowing
so every word I speak
or action I take may redound
to Your glory.
Through Your spirit in me, Lord,
help me bear fruit that lasts:
kindness, gentleness, forgiveness,
compassion, and justice.
Let Your peace flow out from me
with the fragrance of flowers
to draw all people to You.
Let me never tire, Lord,
of doing good, helping others, and
praising You for Your blessings.
You are the vine; I the branch
may I never be separated from You.
Prayer by Maryknoll Father, Joseph R. Veneroso
I hope today’s reflection has special meaning for you. This is Father Ray Finch, sending you a blessing for the week, and an invitation to listen in again next Sunday.